Listing >
┌──
Here is an optimized crystal structure of MgMnGe2O6 from the Materials Project. Energies are from GGA+U.

Properties
The value obtained for the energy relative to the lowest polymorph listed for this composition is 0 meV/atom. The energy with MP2020 corrections comes out at -7.30 eV per atom. Its space group is C2/c. For the formation energy, the calculation gives -2.33 eV per atom.

Lattice parameters (Å, degrees): 5.269 6.775 6.775 86.71 82.39 82.39
Fractional positions:
O1 0.111 0.149 0.620
Ge1 0.784 0.395 0.209
O2 0.143 0.783 0.977
Ge2 0.216 0.605 0.791
O3 0.406 0.710 0.572
O4 0.594 0.290 0.428
O5 0.906 0.572 0.710
Mn1 0.250 0.094 0.906
Mg1 0.250 0.728 0.272
Ge3 0.716 0.791 0.605
O6 0.389 0.380 0.851
O7 0.857 0.217 0.023
Mn2 0.750 0.906 0.094
O8 0.889 0.851 0.380
Mg2 0.750 0.272 0.728
Ge4 0.284 0.209 0.395
O9 0.094 0.428 0.290
O10 0.611 0.620 0.149
O11 0.643 0.977 0.783
O12 0.357 0.023 0.217


Na3ScZnSiS2O12: optimized geometry, PBE. Values from VASP.

Computed properties:
Formation energy from the elements: -2.44 eV/atom
Space group: Cc (9)

The structure in Quantum ESPRESSO input format:
```
&SYSTEM
  ibrav = 0, nat = 120, ntyp = 6
/
ATOMIC_SPECIES
Na 22.99 Na.upf
Sc 44.96 Sc.upf
Zn 65.41 Zn.upf
Si 28.09 Si.upf
S 32.06 S.upf
O 16.00 O.upf
ATOMIC_POSITIONS crystal
Na 0.634 0.011 0.252
Na 0.003 0.639 0.237
Na 0.635 0.639 0.737
Na 0.377 0.011 0.752
Na 0.318 0.349 0.586
Na 0.652 0.944 0.578
Na 0.292 0.944 0.078
Na 0.030 0.349 0.086
Na 0.984 0.684 0.924
Na 0.692 0.027 0.905
Na 0.335 0.027 0.405
Na 0.700 0.684 0.424
Na 0.975 0.987 0.494
Na 0.012 0.987 0.994
Na 0.660 0.309 0.828
Na 0.650 0.309 0.328
Na 0.332 0.661 0.162
Na 0.329 0.661 0.662
Sc 0.980 0.983 0.648
Sc 0.003 0.983 0.148
Sc 0.660 0.336 0.982
Sc 0.675 0.336 0.482
Sc 0.341 0.684 0.317
Sc 0.343 0.684 0.817
Zn 0.010 0.015 0.347
Zn 0.005 0.015 0.847
Zn 0.678 0.332 0.681
Zn 0.654 0.332 0.181
Zn 0.305 0.673 0.012
Zn 0.369 0.673 0.512
Si 0.302 0.007 0.253
Si 0.705 0.007 0.753
Si 0.665 0.623 0.585
Si 0.958 0.623 0.085
Si 0.329 0.976 0.916
Si 0.648 0.976 0.416
S 0.702 0.702 0.253
S 0.003 0.299 0.249
S 0.295 0.299 0.749
S 0.000 0.702 0.753
S 0.969 0.336 0.584
S 0.367 0.036 0.584
S 0.669 0.036 0.084
S 0.367 0.336 0.084
S 0.620 0.661 0.919
S 0.038 0.371 0.920
S 0.333 0.371 0.420
S 0.041 0.661 0.419
O 0.214 0.021 0.314
O 0.798 0.779 0.308
O 0.979 0.189 0.301
O 0.211 0.189 0.801
O 0.981 0.779 0.808
O 0.808 0.021 0.814
O 0.798 0.976 0.694
O 0.203 0.219 0.693
O 0.030 0.817 0.700
O 0.788 0.817 0.200
O 0.016 0.219 0.193
O 0.178 0.976 0.194
O 0.891 0.351 0.639
O 0.470 0.110 0.638
O 0.642 0.509 0.645
O 0.867 0.509 0.145
O 0.639 0.110 0.138
O 0.460 0.351 0.139
O 0.449 0.304 0.032
O 0.851 0.528 0.025
O 0.687 0.143 0.030
O 0.456 0.143 0.530
O 0.677 0.528 0.525
O 0.855 0.304 0.532
O 0.522 0.668 0.970
O 0.129 0.443 0.976
O 0.292 0.862 0.977
O 0.570 0.862 0.477
O 0.313 0.443 0.476
O 0.146 0.668 0.470
O 0.117 0.646 0.361
O 0.518 0.879 0.359
O 0.346 0.479 0.368
O 0.134 0.479 0.868
O 0.361 0.879 0.859
O 0.529 0.646 0.861
O 0.024 0.816 0.417
O 0.831 0.984 0.407
O 0.191 0.196 0.416
O 0.005 0.196 0.916
O 0.153 0.984 0.907
O 0.791 0.816 0.917
O 0.991 0.181 0.588
O 0.202 0.037 0.588
O 0.830 0.819 0.586
O 0.989 0.819 0.086
O 0.835 0.037 0.088
O 0.190 0.181 0.088
O 0.668 0.165 0.745
O 0.471 0.321 0.747
O 0.847 0.537 0.746
O 0.690 0.537 0.246
O 0.851 0.321 0.247
O 0.497 0.165 0.245
O 0.648 0.513 0.921
O 0.868 0.365 0.920
O 0.511 0.156 0.921
O 0.645 0.156 0.421
O 0.498 0.365 0.420
O 0.864 0.513 0.421
O 0.345 0.484 0.076
O 0.152 0.644 0.084
O 0.525 0.863 0.078
O 0.338 0.863 0.578
O 0.491 0.644 0.584
O 0.139 0.484 0.576
O 0.314 0.828 0.254
O 0.528 0.685 0.255
O 0.158 0.469 0.253
O 0.311 0.469 0.753
O 0.157 0.685 0.755
O 0.514 0.828 0.754
CELL_PARAMETERS angstrom
9.047 0.000 0.000
-4.524 7.933 0.067
0.000 0.198 22.400
```


DFT (meta-GGA r2SCAN) results for a relaxed structure of MgH20S2N2O14.
└──
To do >
Could you echo everything above with every line break kept?
Result >
Here is an optimized crystal structure of MgMnGe2O6 from the Materials Project. Energies are from GGA+U.

Properties
The value obtained for the energy relative to the lowest polymorph listed for this composition is 0 meV/atom. The energy with MP2020 corrections comes out at -7.30 eV per atom. Its space group is C2/c. For the formation energy, the calculation gives -2.33 eV per atom.

Lattice parameters (Å, degrees): 5.269 6.775 6.775 86.71 82.39 82.39
Fractional positions:
O1 0.111 0.149 0.620
Ge1 0.784 0.395 0.209
O2 0.143 0.783 0.977
Ge2 0.216 0.605 0.791
O3 0.406 0.710 0.572
O4 0.594 0.290 0.428
O5 0.906 0.572 0.710
Mn1 0.250 0.094 0.906
Mg1 0.250 0.728 0.272
Ge3 0.716 0.791 0.605
O6 0.389 0.380 0.851
O7 0.857 0.217 0.023
Mn2 0.750 0.906 0.094
O8 0.889 0.851 0.380
Mg2 0.750 0.272 0.728
Ge4 0.284 0.209 0.395
O9 0.094 0.428 0.290
O10 0.611 0.620 0.149
O11 0.643 0.977 0.783
O12 0.357 0.023 0.217


Na3ScZnSiS2O12: optimized geometry, PBE. Values from VASP.

Computed properties:
Formation energy from the elements: -2.44 eV/atom
Space group: Cc (9)

The structure in Quantum ESPRESSO input format:
```
&SYSTEM
  ibrav = 0, nat = 120, ntyp = 6
/
ATOMIC_SPECIES
Na 22.99 Na.upf
Sc 44.96 Sc.upf
Zn 65.41 Zn.upf
Si 28.09 Si.upf
S 32.06 S.upf
O 16.00 O.upf
ATOMIC_POSITIONS crystal
Na 0.634 0.011 0.252
Na 0.003 0.639 0.237
Na 0.635 0.639 0.737
Na 0.377 0.011 0.752
Na 0.318 0.349 0.586
Na 0.652 0.944 0.578
Na 0.292 0.944 0.078
Na 0.030 0.349 0.086
Na 0.984 0.684 0.924
Na 0.692 0.027 0.905
Na 0.335 0.027 0.405
Na 0.700 0.684 0.424
Na 0.975 0.987 0.494
Na 0.012 0.987 0.994
Na 0.660 0.309 0.828
Na 0.650 0.309 0.328
Na 0.332 0.661 0.162
Na 0.329 0.661 0.662
Sc 0.980 0.983 0.648
Sc 0.003 0.983 0.148
Sc 0.660 0.336 0.982
Sc 0.675 0.336 0.482
Sc 0.341 0.684 0.317
Sc 0.343 0.684 0.817
Zn 0.010 0.015 0.347
Zn 0.005 0.015 0.847
Zn 0.678 0.332 0.681
Zn 0.654 0.332 0.181
Zn 0.305 0.673 0.012
Zn 0.369 0.673 0.512
Si 0.302 0.007 0.253
Si 0.705 0.007 0.753
Si 0.665 0.623 0.585
Si 0.958 0.623 0.085
Si 0.329 0.976 0.916
Si 0.648 0.976 0.416
S 0.702 0.702 0.253
S 0.003 0.299 0.249
S 0.295 0.299 0.749
S 0.000 0.702 0.753
S 0.969 0.336 0.584
S 0.367 0.036 0.584
S 0.669 0.036 0.084
S 0.367 0.336 0.084
S 0.620 0.661 0.919
S 0.038 0.371 0.920
S 0.333 0.371 0.420
S 0.041 0.661 0.419
O 0.214 0.021 0.314
O 0.798 0.779 0.308
O 0.979 0.189 0.301
O 0.211 0.189 0.801
O 0.981 0.779 0.808
O 0.808 0.021 0.814
O 0.798 0.976 0.694
O 0.203 0.219 0.693
O 0.030 0.817 0.700
O 0.788 0.817 0.200
O 0.016 0.219 0.193
O 0.178 0.976 0.194
O 0.891 0.351 0.639
O 0.470 0.110 0.638
O 0.642 0.509 0.645
O 0.867 0.509 0.145
O 0.639 0.110 0.138
O 0.460 0.351 0.139
O 0.449 0.304 0.032
O 0.851 0.528 0.025
O 0.687 0.143 0.030
O 0.456 0.143 0.530
O 0.677 0.528 0.525
O 0.855 0.304 0.532
O 0.522 0.668 0.970
O 0.129 0.443 0.976
O 0.292 0.862 0.977
O 0.570 0.862 0.477
O 0.313 0.443 0.476
O 0.146 0.668 0.470
O 0.117 0.646 0.361
O 0.518 0.879 0.359
O 0.346 0.479 0.368
O 0.134 0.479 0.868
O 0.361 0.879 0.859
O 0.529 0.646 0.861
O 0.024 0.816 0.417
O 0.831 0.984 0.407
O 0.191 0.196 0.416
O 0.005 0.196 0.916
O 0.153 0.984 0.907
O 0.791 0.816 0.917
O 0.991 0.181 0.588
O 0.202 0.037 0.588
O 0.830 0.819 0.586
O 0.989 0.819 0.086
O 0.835 0.037 0.088
O 0.190 0.181 0.088
O 0.668 0.165 0.745
O 0.471 0.321 0.747
O 0.847 0.537 0.746
O 0.690 0.537 0.246
O 0.851 0.321 0.247
O 0.497 0.165 0.245
O 0.648 0.513 0.921
O 0.868 0.365 0.920
O 0.511 0.156 0.921
O 0.645 0.156 0.421
O 0.498 0.365 0.420
O 0.864 0.513 0.421
O 0.345 0.484 0.076
O 0.152 0.644 0.084
O 0.525 0.863 0.078
O 0.338 0.863 0.578
O 0.491 0.644 0.584
O 0.139 0.484 0.576
O 0.314 0.828 0.254
O 0.528 0.685 0.255
O 0.158 0.469 0.253
O 0.311 0.469 0.753
O 0.157 0.685 0.755
O 0.514 0.828 0.754
CELL_PARAMETERS angstrom
9.047 0.000 0.000
-4.524 7.933 0.067
0.000 0.198 22.400
```


DFT (meta-GGA r2SCAN) results for a relaxed structure of MgH20S2N2O14.